Tuesday, September 22, 2009

Entourage is Fatigue. (and no, I don't mean PHatigue).

I just caught the latest episode of HBO's smash hit "Entourage". Admittedly, during the early seasons, I enjoyed the program - though I had to put my own feminist inclinations aside to swallow some of the horrendous verbal slander agaisnt women (and visual, plenty of visual). I appreciated the fact that the show, like many of HBO's programs, was edgy and clever and perhaps was even highlighting the hegemonic social paradigms that women face, especially in "Hollywood". I reasoned that one of HBO's other hits, Sex and the City, didn't do men any favours - indeed, it perpetuated stereotypes of men as either sex hungry, unfaithful goons or overtly sensitive deebs.

And here we are, smack in the middle of the latest season of Entourage. Aside from little to no plot line, it seems every female character in the program is either a jealous shrew or a fame whoring one night stand. It used to be somewhat laughable that Vincent Chase so confidently bedded ladies but he used to form some meaningful relationships (didn't he?) in there somewhere, making the obligatory T&A shot obsolete.

Crystal structures, as found in the file.
____________
[1]
Starting from a GGA-PBE-relaxed structure, the XRD peak list of PuTiCl5 was calculated for Cu Kα, 1.54184 Å.

```
data_PuTiCl5
_chemical_formula_sum 'Pu2 Ti2 Cl10'
_space_group_name_H-M_alt 'P 1 21/m 1'
_space_group_IT_number 11
_space_group_name_Hall '-P 2yb'
_cell_length_a 7.637
_cell_length_b 3.807
_cell_length_c 12.479
_cell_angle_alpha 90.00
_cell_angle_beta 94.32
_cell_angle_gamma 90.00
loop_
_atom_site_label
_atom_site_type_symbol
_atom_site_fract_x
_atom_site_fract_y
_atom_site_fract_z
Pu1 Pu 0.100 0.250 0.152
Ti1 Ti 0.429 0.750 0.357
Cl1 Cl 0.088 0.750 0.321
Cl2 Cl 0.152 0.250 0.927
Cl3 Cl 0.331 0.250 0.480
Cl4 Cl 0.366 0.750 0.144
Cl5 Cl 0.385 0.750 0.698
```

Main lines, sorted by position (10° ≤ 2θ ≤ 80°):
| (hkl) | 2θ (°) | I (rel.) |
| --- | --- | --- |
| 1 0 0 | 11.62 | 22 |
| 1 0 -1 | 13.16 | 100 |
| 1 1 1 | 27.42 | 39 |
| 1 1 2 | 30.34 | 18 |
| 2 1 0 | 33.28 | 24 |
| 1 1 -3 | 33.48 | 18 |
| 2 1 -2 | 35.61 | 14 |
| 0 2 0 | 47.77 | 15 |

[2]
Starting from a GGA-PBE-relaxed structure, the XRD peak list of Pu3Tl2Cl10 was calculated for Cu Kα, 1.54184 Å.

```
data_Pu3Tl2Cl10
_chemical_formula_sum 'Pu12 Tl8 Cl40'
_space_group_name_H-M_alt 'C 1 2/m 1'
_space_group_IT_number 12
_space_group_name_Hall '-C 2y'
_cell_length_a 25.503
_cell_length_b 8.179
_cell_length_c 10.652
_cell_angle_alpha 90.00
_cell_angle_beta 111.08
_cell_angle_gamma 90.00
loop_
_atom_site_label
_atom_site_type_symbol
_atom_site_fract_x
_atom_site_fract_y
_atom_site_fract_z
Pu1 Pu 0.000 0.244 0.000
Pu2 Pu 0.077 0.500 0.474
Pu3 Pu 0.182 0.500 0.025
Tl1 Tl 0.135 0.000 0.667
Tl2 Tl 0.240 0.000 0.398
Cl1 Cl 0.000 0.277 0.500
Cl2 Cl 0.013 0.000 0.183
Cl3 Cl 0.017 0.500 0.190
Cl4 Cl 0.113 0.254 0.047
Cl5 Cl 0.133 0.500 0.747
Cl6 Cl 0.150 0.258 0.467
Cl7 Cl 0.241 0.500 0.294
Cl8 Cl 0.250 0.250 0.000
```

Main lines, sorted by position (10° ≤ 2θ ≤ 80°):
| (hkl) | 2θ (°) | I (rel.) |
| --- | --- | --- |
| 0 0 2 | 17.85 | 89 |
| 3 1 1 | 19.88 | 88 |
| 3 1 -2 | 20.46 | 86 |
| 6 0 -1 | 20.92 | 100 |
| 0 2 1 | 23.52 | 40 |
| 5 1 1 | 25.89 | 42 |
| 6 2 -1 | 30.34 | 67 |
| 8 2 2 | 46.48 | 45 |

[3]
Starting from a GGA-PBE-relaxed structure, the XRD peak list of PuTlCl6 was calculated for Cu Kα, 1.54184 Å.

```
data_PuTlCl6
_chemical_formula_sum 'Pu2 Tl2 Cl12'
_space_group_name_H-M_alt 'C 1 2/m 1'
_space_group_IT_number 12
_space_group_name_Hall '-C 2y'
_cell_length_a 7.450
_cell_length_b 11.550
_cell_length_c 7.079
_cell_angle_alpha 90.00
_cell_angle_beta 104.09
_cell_angle_gamma 90.00
loop_
_atom_site_label
_atom_site_type_symbol
_atom_site_fract_x
_atom_site_fract_y
_atom_site_fract_z
Pu1 Pu 0.000 0.000 0.000
Tl1 Tl 0.000 0.500 0.500
Cl1 Cl 0.180 0.153 0.224
Cl2 Cl 0.245 0.000 0.809
```

Main lines, sorted by position (10° ≤ 2θ ≤ 80°):
| (hkl) | 2θ (°) | I (rel.) |
| --- | --- | --- |
| 0 2 0 | 15.34 | 68 |
| 1 1 -1 | 17.30 | 100 |
| 1 1 1 | 21.34 | 58 |
| 2 2 0 | 29.16 | 22 |
| 0 2 2 | 30.29 | 24 |
| 1 3 1 | 30.67 | 50 |
| 2 0 -2 | 31.27 | 22 |
| 2 2 2 | 43.46 | 18 |

[4]
____________

With the exception of Perry Reeves' character, Mrs. Ari Gold, it seems all the current female characters (who last more than the Vincent Chase lay) are representations of needless misogyny. They are jealous, possessive and conniving. All the while, the boys come off looking like superstars with the ultimate dreamlife.

Entourage o Entourage, where has the cleverness gone? Me thinks it is time HBO put this senseless sexist show out to pasture.


  1. Agreed. The only response is that they are doing it in an ironic way to highlight another such ridiculous stereotype of women, but I think that is a stretch. I particularly dislike how Jamie Lynn is positioned as a vulnerable, needy girlfriend despite the fact that she is successful, independent, super hot, famous, and way out of turtle's league? Pretty out of character...the best thing about her was that she was so chill and laid back and that turtle appreciated her (now it seems to have gone to his head). Do we really need another sloppy fat dude paired with a trophy wife whom he needlessly disrespects (a la every crappy sitcom...like king of queens, not that I've ever watched it but I think that's what it's about). There's my rant for ya!

  2. What about Sloan? Or Barbara Miller? They are strong female figures on the show.

    The men are shallow, so they attract shallow women.

  3. I will concede the second point to a certain degree - and maybe even take Sloan.

    But Barbara Miller's character represents a whole different level of female in business world stereotype that has grown rather tired throughout the show
